_Assignment_
It remains to echo the part of the block underneath that starts with the line with "141.54 55.52" and stops after the one with "16.26".

_Contents_
[1]
The following is a calculated powder diffraction line list of K2SbF4. It was derived from a GGA-PBE-relaxed structure, using Cu Kα X-rays.
No peak broadening, texture or thermal motion is included.

Principal peaks in the range 10 to 90 degrees two-theta, sorted by position:
Position (°2θ)	intensity
13.52	89
19.43	70
25.84	100
27.42	93
36.87	73
39.03	49
39.44	25
46.56	43
54.77	34
56.59	26

Lattice parameters (Å, degrees): 7.402 7.402 7.402 141.54 141.54 55.52
Positions (direct):
K  0.137  0.137  0.000
K  0.863  0.863  0.000
Sb  0.500  0.500  0.000
F  0.000  0.500  0.500
F  0.330  0.330  0.000
F  0.500  0.000  0.500
F  0.670  0.670  0.000

[2]
The following is a calculated powder diffraction line list of KSbF6. It was derived from a GGA-PBE-relaxed structure, using Cu Kα X-rays.
No peak broadening, texture or thermal motion is included.

Principal peaks in the range 10 to 90 degrees two-theta, sorted by position:
Position (°2θ)	intensity
16.69	63
17.71	27
23.69	69
24.43	100
42.11	51
43.43	19
48.48	16
50.07	16
57.91	16
67.11	15

Lattice parameters (Å, degrees): 5.311 5.311 10.017 90.00 90.00 90.00
Positions (direct):
K  0.000  0.000  0.250
K  0.000  0.000  0.750
Sb  0.500  0.500  0.000
Sb  0.500  0.500  0.500
F  0.244  0.244  0.000
F  0.244  0.756  0.500
F  0.318  0.318  0.365
F  0.318  0.318  0.635
F  0.318  0.682  0.135
F  0.318  0.682  0.865
F  0.682  0.318  0.135
F  0.682  0.318  0.865
F  0.682  0.682  0.365
F  0.682  0.682  0.635
F  0.756  0.244  0.500
F  0.756  0.756  0.000

[3]
The following is a calculated powder diffraction line list of KSb2F7. It was derived from a GGA-PBE-relaxed structure, using Cu Kα X-rays.
No peak broadening, texture or thermal motion is included.

Principal peaks in the range 10 to 90 degrees two-theta, sorted by position:
Position (°2θ)	intensity
16.26	32
20.02	68
23.30	48
23.42	100
26.12	55
26.85	100
27.18	95
41.55	40
43.14	65
49.22	30

Lattice parameters (Å, degrees): 11.195 7.635 8.733 90.00 103.16 90.00
Positions (direct):
K  0.068  0.172  0.330
K  0.068  0.328  0.830
K  0.932  0.672  0.170
K  0.932  0.828  0.670
Sb  0.238  0.696  0.499
Sb  0.238  0.804  0.999
Sb  0.390  0.194  0.670
Sb  0.390  0.306  0.170
Sb  0.610  0.694  0.830
Sb  0.610  0.806  0.330
Sb  0.762  0.196  0.001
Sb  0.762  0.304  0.501
F  0.088  0.650  0.963
F  0.088  0.850  0.463
F  0.121  0.516  0.387
F  0.121  0.984  0.887
F  0.188  0.634  0.696
F  0.188  0.866  0.196
F  0.212  0.217  0.639
F  0.212  0.283  0.139
F  0.349  0.574  0.188
F  0.349  0.926  0.688
F  0.369  0.140  0.442
F  0.369  0.360  0.942
F  0.373  0.043  0.086
F  0.373  0.457  0.586
F  0.627  0.543  0.414
F  0.627  0.957  0.914
F  0.631  0.640  0.058
F  0.631  0.860  0.558
F  0.651  0.074  0.312
F  0.651  0.426  0.812
F  0.788  0.717  0.861
F  0.788  0.783  0.361
F  0.812  0.134  0.804
F  0.812  0.366  0.304
F  0.879  0.016  0.113
F  0.879  0.484  0.613
F  0.912  0.150  0.537
F  0.912  0.350  0.037

[4]
The following is a calculated powder diffraction line list of K3SbF7. It was derived from a GGA-PBE-relaxed structure, using Cu Kα X-rays.
No peak broadening, texture or thermal motion is included.

Principal peaks in the range 10 to 90 degrees two-theta, sorted by position:
Position (°2θ)	intensity
15.44	38
16.31	72
16.93	48
24.96	41
26.33	100
26.59	48
29.67	19
41.77	33
42.54	41
44.60	34

Lattice parameters (Å, degrees): 6.031 6.031 6.973 114.12 114.12 88.07
Positions (direct):
K  0.000  0.000  0.000
K  0.257  0.729  0.477
K  0.729  0.257  0.477
Sb  0.542  0.542  0.011
F  0.193  0.529  0.761
F  0.357  0.357  0.115
F  0.408  0.838  0.213
F  0.529  0.193  0.761
F  0.634  0.634  0.783
F  0.838  0.408  0.213
F  0.854  0.854  0.244

[5]
The following is a calculated powder diffraction line list of K6SbF12. It was derived from a GGA-PBE-relaxed structure, using Cu Kα X-rays.
No peak broadening, texture or thermal motion is included.

Principal peaks in the range 10 to 90 degrees two-theta, sorted by position:
Position (°2θ)	intensity
12.09	27
15.36	19

_Here it is_
Lattice parameters (Å, degrees): 7.402 7.402 7.402 141.54 141.54 55.52
Positions (direct):
K  0.137  0.137  0.000
K  0.863  0.863  0.000
Sb  0.500  0.500  0.000
F  0.000  0.500  0.500
F  0.330  0.330  0.000
F  0.500  0.000  0.500
F  0.670  0.670  0.000

[2]
The following is a calculated powder diffraction line list of KSbF6. It was derived from a GGA-PBE-relaxed structure, using Cu Kα X-rays.
No peak broadening, texture or thermal motion is included.

Principal peaks in the range 10 to 90 degrees two-theta, sorted by position:
Position (°2θ)	intensity
16.69	63
17.71	27
23.69	69
24.43	100
42.11	51
43.43	19
48.48	16
50.07	16
57.91	16
67.11	15

Lattice parameters (Å, degrees): 5.311 5.311 10.017 90.00 90.00 90.00
Positions (direct):
K  0.000  0.000  0.250
K  0.000  0.000  0.750
Sb  0.500  0.500  0.000
Sb  0.500  0.500  0.500
F  0.244  0.244  0.000
F  0.244  0.756  0.500
F  0.318  0.318  0.365
F  0.318  0.318  0.635
F  0.318  0.682  0.135
F  0.318  0.682  0.865
F  0.682  0.318  0.135
F  0.682  0.318  0.865
F  0.682  0.682  0.365
F  0.682  0.682  0.635
F  0.756  0.244  0.500
F  0.756  0.756  0.000

[3]
The following is a calculated powder diffraction line list of KSb2F7. It was derived from a GGA-PBE-relaxed structure, using Cu Kα X-rays.
No peak broadening, texture or thermal motion is included.

Principal peaks in the range 10 to 90 degrees two-theta, sorted by position:
Position (°2θ)	intensity
16.26	32